Wednesday, June 10, 2020

Dear IMM Friends,

As I have been thinking of you and of some of the things you're personally facing, I have also been thinking of our country and the turmoil and struggles we are in the midst of. As I have prayed, read and processed with God some of your situations and some of mine, and these times we are living in, I had the opportunity to write some of the thoughts God gave me to a friend whom I love dearly.

This is a difficult time for all of us as we walk under COVID 19 and the unrest in our country, plus as we deal with our personal situations which are on our minds daily. So how do we think about the things we are going through?

I keep thinking of the word TOGETHER. It’s in that overused verse in Romans 8:28. With this word—“TOGETHER”— being central I can ask God to make the truth of the verse real in my mind. “All things work TOGETHER for good.” Not all things are good. I am asking God to help me camp on the fact that He has a plan for me, for you, for those you love, for our country and our world. All the while knowing that Hill Difficulty must be traveled in the here and now.  Do I understand how this works? No. But I take it by faith because of the cross and the resurrection. And you know we can never really project into the future. But it’s hard not to try.

As you know God gives strength for today and for what we are going through today. He will be there for each of us whatever comes next. Like manna I cannot stack up His grace for what will be, but I can remember His track record that got me through back when it was hard the last time. And, sweet friend, we have an enemy who plays us like a fiddle with either the world, the flesh or evil. We also have a Redeemer who is fierce in His love for us. Stuff will happen. But no matter what. Nothing can separate us from that love. Nothing within me and nothing without can separate me from God’s love. (Romans 8 again.)

We’re still in the middle of the story. But we know Who wins in the end. And we know the good He has laid up for us with an extravagant celebration and reunion that will never end. All the good things I long for the most or have tasted here will be magnified there. Nothing good will be lost but redeemed and amplified.

I may not be ready to wear my dancing shoes today (there is still weeping), BUT I do need to keep them polished. And I need to look at them often with hope so that I can endure like Jesus. For the JOY set before me.  (Hebrews 12: 1,2.) And we know all things work TOGETHER for good to those who love God and are called according to His purpose. Romans 8:28

With love and prayers,

1 comment:

Unknown said...

=====
[1]
Density functional theory data (GGA-PBE) for AcNi2Sn2 after structural relaxation.

Geometry as extended XYZ:
```
10
Lattice="2.986 -5.678 0.000 2.986 5.678 0.000 -2.955 0.000 6.597" Properties=species:S:1:pos:R:3 pbc="T T T"
Ac 0.770 4.263 4.948
Ac 2.248 -4.263 1.649
Ni 2.228 1.418 0.344
Ni 2.268 1.418 2.955
Ni 0.750 -1.418 3.642
Ni 0.790 -1.418 6.253
Sn 2.248 3.614 1.649
Sn 0.770 0.777 4.948
Sn 2.248 -0.777 1.649
Sn 0.770 -3.614 4.948
```

Properties
Total magnetization: 0.0 μB/f.u.
ΔE_f: -0.5029 eV/atom
E above lowest polymorph: 0.14 eV/f.u.
DFT total energy: -5.24 eV per atom

=====

[2]
Density functional theory data (GGA-PBE) for ErAl2Ni9 after structural relaxation.

Geometry as extended XYZ:
```
24
Lattice="8.038 0.000 0.000 0.000 8.038 0.000 0.000 0.000 4.701" Properties=species:S:1:pos:R:3 pbc="T T T"
Er 0.000 0.000 0.000
Er 4.019 4.019 0.000
Al 0.971 3.048 0.000
Al 3.048 7.067 0.000
Al 4.989 0.971 0.000
Al 7.067 4.989 0.000
Ni 0.000 4.019 2.351
Ni 0.518 1.680 2.351
Ni 1.427 5.446 1.128
Ni 1.427 5.446 3.573
Ni 1.680 7.519 2.351
Ni 2.339 3.500 2.351
Ni 2.592 1.427 1.128
Ni 2.592 1.427 3.573
Ni 3.500 5.698 2.351
Ni 4.019 0.000 2.351
Ni 4.537 2.339 2.351
Ni 5.446 6.611 1.128
Ni 5.446 6.611 3.573
Ni 5.698 4.537 2.351
Ni 6.358 0.518 2.351
Ni 6.611 2.592 1.128
Ni 6.611 2.592 3.573
Ni 7.519 6.358 2.351
```

Properties
Total magnetization: 0.5 μB/f.u.
ΔE_f: -0.3724 eV/atom
E above lowest polymorph: 0.00 eV/f.u.
DFT total energy: -5.71 eV per atom

~~~~~

P:
LuPaTc after structural relaxation, computed with PBE-GGA.

a = 3.4343 Å, b = 3.4343 Å, c = 6.1321 Å
α = 106.26°, β = 106.26°, γ = 90.00°
Last column: nearest neighbours and their distance in Å.
Element x y z (fractional)
1 Tc 0.6842 0.6842 0.3683  4 Pa 2.79, 4 Lu 3.12
2 Lu 0.0097 0.0097 0.0193  4 Tc 3.12, 5 Pa 3.34, 4 Lu 3.43
3 Pa 0.3062 0.3062 0.6123  4 Tc 2.79

***

Q:
LuPaTc after structural relaxation, computed with PBE-GGA.

a = 3.2565 Å, b = 4.7543 Å, c = 4.7543 Å
α = 120.00°, β = 90.00°, γ = 90.00°
Last column: nearest neighbours and their distance in Å.
Element x y z (fractional)
1 Pa 0.2735 0.6667 0.3333  3 Tc 2.85, 3 Lu 3.06
2 Lu 0.6876 0.3333 0.6667  3 Tc 2.97, 3 Pa 3.06, 2 Lu 3.26
3 Tc 0.0389 0.0000 0.0000  3 Pa 2.85, 3 Lu 2.97

***

The winner here is P, beating the second structure by 19.5 kJ/mol of atoms.

***

P:
Lu2PaTe after structural relaxation, computed with PBE-GGA.

a = 3.6913 Å, b = 3.6913 Å, c = 7.9221 Å
α = 90.00°, β = 90.00°, γ = 90.00°
Last column: nearest neighbours and their distance in Å.
Element x y z (fractional)
1 Lu 0.0000 0.0000 0.7685  4 Te 3.19, 4 Pa 3.37
2 Lu 0.0000 0.0000 0.2315  4 Te 3.19, 4 Pa 3.37
3 Pa 0.5000 0.5000 0.5000  8 Lu 3.37, 4 Pa 3.69
4 Te 0.5000 0.5000 0.0000  8 Lu 3.19

***

Q:
Lu2PaTe after structural relaxation, computed with PBE-GGA.

a = 3.3682 Å, b = 3.3682 Å, c = 11.4758 Å
α = 81.56°, β = 81.56°, γ = 60.00°
Last column: nearest neighbours and their distance in Å.
Element x y z (fractional)
=====

Thank you Carolyn for your posting today - very much appreciate the analogy around keeping a shine on my "dancing shoes." Your thoughts dovetailed so nicely with the devotion i read this morning - David's essay, "The Discipline of Distress." You both encourage me, in the midst of the challenges, to remain patient and keep aware of how God is growing me into more of the person He wants me to be.

Thank you both for your on-going service to the Kingdom.

Many blessings,

Going and Not Knowing

"By faith Abraham obeyed when he was called to go out to a place that he was to receive as an inheritance. And he went out, not knowing...